-courtesy of Matt Kelley, Radio Iowa
Due to human error, Iowa Secretary of State Paul Pate says the unofficial election night results were “over-reported” in one precinct in central Iowa’s Jasper County.
“This discrepancy impacted candidates in both political parties, non-partisan candidates, judges and statewide public measures,” Pate said during a news conference in the Jasper County Courthouse. “The major race that was impacted here was the second congressional race.” The KILJ listening area is part of the second congressional district.
Current results posted on the Secretary of State’s website show Democrat Rita Hart now leading Republican Mariannette Miller-Meeks in that congressional district by just 162 votes. Preliminary results posted early Wednesday morning showed Miller-Meeks ahead by 282. The difference is attributed to revised results from a precinct in Mingo. Jasper County Auditor Dennis Parrott said the error was not in Mingo, but someone in Newton at the auditor’s office entered the results incorrectly on a spread sheet.
“It was a human error, like a lot of things that happen,” Parrott said. “We’re going ahead with a recount. We’re going to get it right. We’ve got it right now, but we’re going to prove that by doing the recount and that’s what matters and that’s what we’re going to do.”
_Someone pasted calculated molecules at this point_
'''
CHF2IO | ωB97M-V/def2-TZVPD

XYZ file:
```
6
Properties=species:S:1:pos:R:3:lowdin_charge:R:1
O -0.873 0.799 1.112 0.15
C -0.244 -0.156 1.244 -0.28
F -0.308 -0.935 2.444 -0.04
H 0.653 -0.570 0.683 0.16
F 1.116 -0.090 -2.304 -0.79
I -0.344 0.952 -3.178 0.80
```

Kohn-Sham gap: 8.6 eV
relative energy (zero: lowest compared OMol25 entry of this formula, charge and spin): 32.8 kcal per mole
structure (SMILES): O=CF.FI

=====

C45H45BInN2O7S | ωB97M-V/def2-TZVPD

XYZ file:
```
102
Properties=species:S:1:pos:R:3:lowdin_charge:R:1
In -0.036 0.078 -0.519 1.06
O -0.444 -1.491 -1.777 -0.27
C 0.120 -1.918 -2.958 -0.47
C 0.618 -0.676 -3.779 -0.03
C 1.829 0.024 -3.223 -0.23
C 3.005 0.097 -3.958 -0.03
C 4.145 0.625 -3.383 -0.03
C 4.090 1.074 -2.077 -0.01
C 2.876 1.047 -1.409 -0.25
C 2.773 1.515 0.008 -0.06
C 2.639 0.322 1.015 -0.46
O 1.531 -0.464 0.685 -0.23
C 3.910 -0.544 0.915 -0.13
C 3.953 -1.584 -0.012 -0.01
C 5.092 -2.367 -0.145 -0.07
C 6.205 -2.128 0.652 -0.10
C 6.169 -1.097 1.581 -0.09
C 5.030 -0.312 1.712 -0.02
C 2.492 0.876 2.438 -0.20
C 2.650 2.210 2.787 -0.06
C 2.394 2.641 4.088 -0.07
C 1.985 1.741 5.057 -0.07
C 1.851 0.397 4.722 -0.06
C 2.105 -0.028 3.429 -0.04
N 1.766 0.565 -1.992 0.13
C -0.982 -2.569 -3.826 -0.13
C -2.314 -2.442 -3.452 -0.01
C -3.323 -2.996 -4.234 -0.08
C -3.010 -3.680 -5.400 -0.10
C -1.679 -3.812 -5.779 -0.09
C -0.675 -3.262 -4.996 -0.03
C 1.190 -2.991 -2.685 -0.14
C 2.372 -3.141 -3.399 -0.04
C 3.279 -4.151 -3.082 -0.09
C 3.007 -5.032 -2.050 -0.11
C 1.815 -4.905 -1.342 -0.07
C 0.921 -3.897 -1.658 -0.01
H -0.243 -0.002 -3.753 0.14
H 0.803 -0.952 -4.816 0.12
H 3.017 -0.271 -4.976 0.11
H 5.073 0.665 -3.939 0.11
H 4.969 1.447 -1.569 0.12
H 1.879 2.137 0.132 0.12
H 3.653 2.104 0.253 0.12
H 3.076 -1.800 -0.612 0.11
H 5.101 -3.175 -0.866 0.09
H 7.089 -2.746 0.558 0.10
H 7.026 -0.910 2.218 0.10
H 5.013 0.485 2.446 0.12
H 2.951 2.948 2.053 0.10
H 2.494 3.691 4.335 0.10
H 1.750 2.084 6.057 0.11
H 1.520 -0.316 5.469 0.11
H 1.974 -1.070 3.155 0.13
H -2.538 -1.901 -2.542 0.10
H -4.358 -2.894 -3.929 0.10
H -3.796 -4.111 -6.010 0.09
H -1.424 -4.349 -6.685 0.10
H 0.363 -3.391 -5.291 0.11
H 2.599 -2.486 -4.229 0.09
H 4.203 -4.237 -3.644 0.10
H 3.716 -5.811 -1.794 0.10
H 1.587 -5.597 -0.541 0.10
H 0.002 -3.782 -1.097 0.12
C -4.895 0.032 -1.582 -0.01
C -4.126 1.344 -1.494 -0.46
C -4.609 2.311 -2.557 -0.01
O -2.731 1.018 -1.765 0.06
B -2.081 0.961 -0.553 -0.61
O -2.846 1.378 0.489 0.07
C -4.073 1.938 -0.047 -0.46
C -3.894 3.450 -0.024 0.00
C -5.214 1.533 0.862 0.00
H -4.729 -0.403 -2.570 0.08
H -5.966 0.195 -1.441 0.09
H -4.541 -0.678 -0.832 0.10
H -4.654 1.793 -3.517 0.09
H -3.930 3.157 -2.656 0.09
H -5.608 2.681 -2.314 0.10
H -3.048 3.751 -0.647 0.10
H -3.689 3.754 1.003 0.10
H -4.794 3.963 -0.372 0.09
H -5.262 0.452 0.990 0.09
H -6.167 1.891 0.461 0.10
H -5.059 1.981 1.845 0.10
N -0.548 1.672 2.360 0.10
C -1.269 1.979 3.534 -0.33
C -1.550 3.304 3.864 -0.05
C -2.256 3.605 5.020 -0.07
C -2.700 2.586 5.856 -0.28
C -2.450 1.265 5.514 -0.06
'''
The secretary of state has ordered that all votes cast in Jasper County be recounted. The ballots cast on Election Day in the Mingo area precinct will be recounted by hand. Parrott indicated the recounts may take all weekend.
“All of us are humans, we make errors, we make mistakes,” Parrott said. “I’m no different, you’re no different, but the system is built so that when we do, we can correct those.”
<<<
Entry from the OMol25 dataset: the ion C2H5N2O with charge +1 in a non-equilibrium geometry (ωB97M-V/def2-TZVPD).

Structure (ORCA input):
```
! RIJCOSX wB97M-V def2-TZVPD def2/J DEFGRID3
* xyz 1 1
H 0.497 1.713 -1.578
C 0.071 0.206 -0.201
H 2.004 0.061 0.815
C -0.696 -0.823 0.684
N 1.384 -0.601 0.357
O 0.536 -1.307 1.136
H -1.409 -1.548 0.083
N -0.131 1.053 -1.152
H -1.261 -0.161 1.466
H -0.994 1.407 -1.610
*
```

## Properties
LUMO (Eh): -0.1975
SMILES: [NH2+]=C1CON1
Highest occupied orbital energy (eV): -14.731

Electronic structure analysis, Löwdin charges in units of e: 0.153 -0.048 0.142 -0.066 0.128 -0.112 0.188 0.249 0.181 0.184


1.
The following is a DFT calculation (ωB97M-V/def2-TZVPD) of a molecular structure, C4H3Li2O2Tl.

Summary:
ΔE to the lowest compared entry with this formula, charge and spin ... 2.972 eV
LUMO (alpha / beta) ... -21.79 / -19.79 eV
E ... -490.1453 Ha
Charge ... +4

Geometry (Å):
C (1.348906, -0.184237, 0.115874)
O (2.431934, -0.030497, -0.321986)
Tl (4.380993, -0.021147, -0.171987)
Li (-1.908589, -1.513977, 0.919317)
C (-0.892525, 1.430202, 1.266138)
C (-1.234080, 0.893092, 0.155779)
C (-0.578372, -0.024191, -0.700596)
O (-1.084073, -1.287989, -0.725165)
Li (-1.323956, -2.345607, -2.150152)
H (-1.392442, 2.016919, 2.032182)
H (-0.265827, 0.399150, -1.667484)
H (0.518029, 0.668285, 1.248076)

Forces on atoms 1 to 6 (eV/Å):
C 1.6 1.5 1.1
O -7.4 -0.8 -0.8
Tl 7.1 0.2 0.7
Li -1.0 -0.6 1.0
C -1.4 -1.0 -1.8
C 3.4 0.6 3.5

List of Mulliken charges in e, atom by atom: number 1, C, carries 0.393; number 2, O, carries -0.101; number 3, Tl, carries 1.272; number 4, Li, carries 0.917; number 5, C, carries -0.125; number 6, C, carries -0.326; number 7, C, carries 0.445; number 8, O, carries -0.715; number 9, Li, carries 0.922; number 10, H, carries 0.458; number 11, H, carries 0.518; number 12, H, carries 0.342

---

2.
The following is a DFT calculation (ωB97M-V/def2-TZVPD) of a molecular structure, C4H3LiLuO.

Summary:
LUMO (alpha / beta) ... -5.80 / -5.79 eV
E ... -1472.0303 Ha
Charge ... +1

Geometry (Å):
C (0.922057, 2.133175, 1.127378)
C (-0.056324, 3.076879, 0.628279)
H (1.532242, 2.437867, 1.992870)
H (-0.293474, 3.970531, 1.211854)
Lu (-0.790794, -0.513111, -0.507601)
C (0.584885, 0.632177, 0.859976)
C (-1.213464, 2.410145, -0.200753)
O (-1.221144, 1.545249, -1.212297)
H (1.206929, 0.159914, 1.638823)
Li (0.762601, 1.921636, -1.495534)

Forces on atoms 1 to 6 (eV/Å):
C -4.2 -1.7 -0.8
C -0.2 -3.5 -2.1
H -0.1 -0.4 -0.5
H 0.1 0.0 -0.8
Lu 0.7 2.6 1.5
C 1.7 1.8 -0.2

List of Mulliken charges in e, atom by atom: number 1, C, carries -0.329; number 2, C, carries -0.392; number 3, H, carries 0.317; number 4, H, carries 0.321; number 5, Lu, carries 0.950; number 6, C, carries -0.478; number 7, C, carries 0.152; number 8, O, carries -0.659; number 9, H, carries 0.292; number 10, Li, carries 0.826


{
  "formula": "C6H13N2",
  "method": "ωB97M-V/def2-TZVPD",
  "gap_ev": 9.488,
  "total_charge": 1,
  "homo_energy_ev": -13.21,
>>>
Here the text continues:
Parrott, as well as Pate, stress that all results statewide are unofficial at this point. Pate said that allows results to be double-checked, plus absentee ballots to be added before what’s called the official canvass next week.
“That’s what all of the counties are going at this stage and that’s why we feel much more comfortable that the new numbers that Jasper’s putting out there are accurate,” Pate said. “Now that we’re asking for the audit and the recount, we’ll wait and see what those show — and that’s part of the process, and then the board of supervisors will meet to do the formal certification process when all this is completed.”
The Jasper County Auditor says his sole concern is accuracy.
“The results will make one side happy and the other side unhappy,” Parrott said. “Let me tell you this: the Jasper County Auditor’s office is the zebra in the game. We’re the official. We don’t take sides and everybody from Jasper County knows that we don’t.”
Parrott is the long-time county auditor in Jasper County. In the 1990s, Parrott served as Page County Recorder in southwest Iowa.